[Job]
It remains to work out how many lines below have the word "same" in them; a number is enough.
[Input]
+++
[1]
Below is a relaxed structure of NaGe2Au6, with properties calculated at the PBE level.

The total energy comes out at -3.450 eV per atom. The distance to the lowest polymorph of the same formula is 0 meV per atom. The formation energy is -0.09 eV/atom.

The space group is P4/mmm (No. 123) and the conventional cell measures 4.4473, 4.4473 and 8.9622 Å, with angles of 90.00, 90.00 and 90.00 degrees. The distinct sites, in fractional coordinates, are Na at (0.0000, 0.0000, 0.0000), Ge at (0.5000, 0.5000, 0.1393), Au at (0.0000, 0.0000, 0.5000), Au at (0.0000, 0.5000, 0.2841) and Au at (0.5000, 0.5000, 0.5000).

---

[2]
Below is a relaxed structure of Na2Ge2Au, with properties calculated at the PBE level.

The total energy comes out at -3.213 eV per atom. The distance to the lowest polymorph of the same formula is 37 meV per atom. The formation energy is -0.18 eV/atom.

The space group is C2/m (No. 12) and the conventional cell measures 10.4990, 4.5624 and 10.5908 Å, with angles of 90.00, 117.54 and 90.00 degrees. The distinct sites, in fractional coordinates, are Na at (0.0817, 0.0000, 0.3848), Na at (0.1833, 0.5000, 0.1894), Ge at (0.0887, 0.0000, 0.9488), Ge at (0.1201, 0.5000, 0.5969) and Au at (0.1256, 0.5000, 0.8465).

---

[3]
Below is a relaxed structure of NaGeAu, with properties calculated at the PBE level.

The total energy comes out at -3.292 eV per atom. The formation energy is -0.22 eV/atom.

The space group is P-6m2 (No. 187) and the conventional cell measures 4.5738, 4.5738 and 3.3216 Å, with angles of 90.00, 90.00 and 120.00 degrees. The distinct sites, in fractional coordinates, are Na at (0.0000, 0.0000, 0.0000), Ge at (0.6667, 0.3333, 0.5000) and Au at (0.3333, 0.6667, 0.5000).

---

[4]
Below is a relaxed structure of NaGe2Au2, with properties calculated at the PBE level.

The total energy comes out at -3.521 eV per atom. The distance to the lowest polymorph of the same formula is 63 meV per atom. The formation energy is -0.10 eV/atom.

The space group is I4/mmm (No. 139) and the conventional cell measures 4.6292, 4.6292 and 10.5597 Å, with angles of 90.00, 90.00 and 90.00 degrees. The distinct sites, in fractional coordinates, are Na at (0.0000, 0.0000, 0.0000), Ge at (0.0000, 0.5000, 0.2500) and Au at (0.0000, 0.0000, 0.3670).

---

[5]
Below is a relaxed structure of NaGe2Au, with properties calculated at the PBE level.

The total energy comes out at -3.395 eV per atom. The formation energy is 0.06 eV/atom.

The space group is I-42d (No. 122) and the conventional cell measures 4.2914, 4.2914 and 19.2032 Å, with angles of 90.00, 90.00 and 90.00 degrees. The distinct sites, in fractional coordinates, are Na at (0.0000, 0.0000, 0.0000), Ge at (0.1757, 0.2500, 0.6250) and Au at (0.0000, 0.0000, 0.5000).

---

[6]
Below is a relaxed structure of Na2GeAu2, with properties calculated at the PBE level.

The total energy comes out at -2.754 eV per atom. The distance to the lowest polymorph of the same formula is 307 meV per atom. The formation energy is 0.01 eV/atom.

The space group is P4/mbm (No. 127) and the conventional cell measures 8.5427, 8.5427 and 2.9216 Å, with angles of 90.00, 90.00 and 90.00 degrees. The distinct sites, in fractional coordinates, are Na at (0.1325, 0.3675, 0.0000), Ge at (0.0000, 0.0000, 0.0000) and Au at (0.1654, 0.6654, 0.5000).

---

[7]
Below is a relaxed structure of Na2Ge2Au, with properties calculated at the PBE level.

The total energy comes out at -3.250 eV per atom. The distance to the lowest polymorph of the same formula is 0 meV per atom. The formation energy is -0.22 eV/atom.

The space group is P4/mbm (No. 127) and the conventional cell measures 6.6297, 6.6297 and 4.9282 Å, with angles of 90.00, 90.00 and 90.00 degrees. The distinct sites, in fractional coordinates, are Na at (0.1760, 0.3240, 0.0000), Ge at (0.1315, 0.6315, 0.5000) and Au at (0.0000, 0.0000, 0.5000).

---

[8]
Below is a relaxed structure of Na2Ge3Au2, with properties calculated at the PBE level.
+++
[Worked solution]
5